• Job:
What is needed: print only the lines underneath with the word "Mg" in them.
• Material:
~~~
# 1
VASP calculation (GGA-PBE) on NdSnTe3Au after structural relaxation.

Properties
E = -4.26 eV per atom
Energy above the most stable polymorph in this dataset = 0.8 meV/atom

Cell lengths 4.3120, 11.3205, 7.7633 Å; angles 90.00, 106.12, 90.00 degrees
With the nearest neighbours (Å) after each atom.
Element x y z (fractional)
Te 0.9031 0.0000 0.8062  2 Au 2.85, 2 Nd 3.18
Sn 0.7729 0.5000 0.5458  6 Te 3.23-3.40
Te 0.6514 0.1874 0.3028  1 Au 2.81
Au 0.4719 0.5000 0.9438  4 Te 2.81-2.85
Sn 0.2271 0.0000 0.4542  6 Te 3.23-3.40
Te 0.3486 0.6874 0.6972  1 Au 2.81
Te 0.3486 0.3126 0.6972  1 Au 2.81
Nd 0.0000 0.2500 0.0000  6 Te 3.18-3.20
Nd 0.0000 0.7500 0.0000  6 Te 3.18-3.20
Te 0.0969 0.5000 0.1938  2 Au 2.85, 2 Nd 3.18
Te 0.6514 0.8126 0.3028  1 Au 2.81
Au 0.5281 0.0000 0.0562  4 Te 2.81-2.85


# 2
VASP calculation (GGA-PBE) on Ba2LiIrO6 after structural relaxation.

Properties
E = -6.24 eV per atom
Energy above the most stable polymorph in this dataset = 1.0 meV/atom

Cell lengths 5.7181, 5.7181, 5.7181 Å; angles 60.13, 60.13, 60.13 degrees
With the nearest neighbours (Å) after each atom.
Element x y z (fractional)
Ir 0.5000 0.5000 0.5000  6 O 1.92
O 0.2614 0.2632 0.7372  1 Ir 1.92, 1 Li 2.12
Ba 0.7501 0.7501 0.7501  12 O 2.86-2.87
Ba 0.2499 0.2499 0.2499  12 O 2.86-2.87
O 0.2628 0.7386 0.7368  1 Ir 1.92, 1 Li 2.12
O 0.7368 0.2628 0.7386  1 Ir 1.92, 1 Li 2.12
Li 0.0000 0.0000 0.0000  6 O 2.12
O 0.2632 0.7372 0.2614  1 Ir 1.92, 1 Li 2.12
O 0.7386 0.7368 0.2628  1 Ir 1.92, 1 Li 2.12
O 0.7372 0.2614 0.2632  1 Ir 1.92, 1 Li 2.12


# 3
VASP calculation (GGA-PBE) on MgZrCuBi after structural relaxation.

Properties
E = -4.20 eV per atom

Cell lengths 4.9486, 4.9486, 4.9486 Å; angles 60.00, 60.00, 60.00 degrees
With the nearest neighbours (Å) after each atom.
Element x y z (fractional)
Cu 0.7500 0.7500 0.7500  4 Bi 3.03, 4 Mg 3.03
Bi 0.0000 0.0000 0.0000  4 Cu 3.03, 4 Zr 3.03
Zr 0.2500 0.2500 0.2500  4 Mg 3.03, 4 Bi 3.03
Mg 0.5000 0.5000 0.5000  4 Zr 3.03, 4 Cu 3.03


# 4
VASP calculation (GGA-PBE) on Tb6Al3Si after structural relaxation.

Properties
E = -4.84 eV per atom

Cell lengths 11.2368, 11.2368, 11.2368 Å; angles 117.71, 117.71, 94.02 degrees
With the nearest neighbours (Å) after each atom.
Element x y z (fractional)
Al 0.1172 0.9736 0.5000  1 Al 2.74, 1 Tb 3.05
Tb 0.1701 0.3020 0.7405  2 Si 2.98-3.15, 3 Al 3.04-3.19
Tb 0.0615 0.8020 0.1319  2 Si 2.98-3.15, 3 Al 3.04-3.19
Tb 0.6980 0.4385 0.8681  2 Si 2.98-3.15, 3 Al 3.04-3.19
Al 0.6172 0.1172 0.1436  1 Al 2.74, 1 Tb 3.05
Tb 0.1691 0.6691 0.8381  5 Al 3.14-3.47
Al 0.6198 0.1198 0.7396  6 Tb 3.01-3.04
Tb 0.1484 0.6484 0.5000  4 Al 3.01-3.05, 1 Tb 3.12
Tb 0.5615 0.4296 0.2595  2 Si 2.98-3.15, 3 Al 3.04-3.19
Tb 0.8516 0.3516 0.5000  4 Al 3.01-3.05, 1 Tb 3.12
Tb 0.4296 0.1701 0.8681  2 Si 2.98-3.15, 3 Al 3.04-3.19
Al 0.5264 0.3828 0.5000  1 Al 2.74, 1 Tb 3.05
Al 0.4736 0.6172 0.5000  1 Al 2.74, 1 Tb 3.05
Tb 0.5704 0.8299 0.1319  2 Si 2.98-3.15, 3 Al 3.04-3.19
Si 0.2500 0.2500 0.0000  8 Tb 2.98
Al 0.3828 0.8828 0.8564  1 Al 2.74, 1 Tb 3.05
Tb 0.3309 0.1691 0.5000  5 Al 3.14-3.47
Al 0.0264 0.5264 0.1436  1 Al 2.74, 1 Tb 3.05
Al 0.3802 0.8802 0.2604  6 Tb 3.01-3.04
Si 0.5000 0.5000 0.0000  8 Tb 3.15
Tb 0.6484 0.1484 0.5000  4 Al 3.01-3.05, 1 Tb 3.12
Tb 0.3516 0.8516 0.5000  4 Al 3.01-3.05, 1 Tb 3.12
Tb 0.8309 0.3309 0.1619  5 Al 3.14-3.47
Si 0.0000 0.0000 0.0000  8 Tb 3.15
Al 0.1198 0.3802 0.5000  6 Tb 3.01-3.04
Tb 0.1980 0.3299 0.2595  2 Si 2.98-3.15, 3 Al 3.04-3.19
Tb 0.0704 0.9385 0.7405  2 Si 2.98-3.15, 3 Al 3.04-3.19
Al 0.8828 0.0264 0.5000  1 Al 2.74, 1 Tb 3.05
Tb 0.3020 0.5615 0.1319  2 Si 2.98-3.15, 3 Al 3.04-3.19
Al 0.9736 0.4736 0.8564  1 Al 2.74, 1 Tb 3.05
Tb 0.9296 0.0615 0.2595  2 Si 2.98-3.15, 3 Al 3.04-3.19
Si 0.7500 0.7500 0.0000  8 Tb 2.98
Tb 0.4385 0.5704 0.7405  2 Si 2.98-3.15, 3 Al 3.04-3.19
Tb 0.3299 0.0704 0.1319  2 Si 2.98-3.15, 3 Al 3.04-3.19
Tb 0.8020 0.6701 0.7405  2 Si 2.98-3.15, 3 Al 3.04-3.19
Tb 0.9385 0.1980 0.8681  2 Si 2.98-3.15, 3 Al 3.04-3.19
~~~
• Response:
Cu 0.7500 0.7500 0.7500  4 Bi 3.03, 4 Mg 3.03
Zr 0.2500 0.2500 0.2500  4 Mg 3.03, 4 Bi 3.03
Mg 0.5000 0.5000 0.5000  4 Zr 3.03, 4 Cu 3.03